On Wednesday, after lunch, I contacted Uber. a gal came and took me to the hospital, where I paid a bill that I'd gotten recently on my way in. Then I found Cardiology and checked in for my appointment. It was with a new nurse practitioner. I like her. She was nice and personable. Even more important, she understood that when a heart patient has diabetes and vertigo, compromises need to be made. Some people just don't get that. {Smile}
### Crystal structures, kept here for reference
........
Diffraction record for CeTh2FeHg. The XRD peak list is computed, not measured: it uses a crystal structure in Alexandria, relaxed with GGA-PBE and Cu Kα (weighted mean of Kα1 and Kα2).

The 12 most intense peaks (2θ = 10–90°), low angle first:
| index | 2θ (°) | I/Imax |
| --- | --- | --- |
| 1 0 2 | 28.25 | 22.4 |
| 0 1 2 | 28.74 | 60.6 |
| 2 0 1 | 30.73 | 29.8 |
| 2 1 -1 | 33.08 | 100.0 |
| 0 2 0 | 33.45 | 49.8 |
| 1 0 3 | 39.28 | 14.6 |
| 1 1 -3 | 40.38 | 20.6 |
| 2 0 -3 | 42.67 | 11.6 |
| 1 2 2 | 44.34 | 13.5 |
| 2 2 1 | 46.05 | 18.0 |
| 2 3 -1 | 59.56 | 18.9 |
| 4 2 -2 | 69.41 | 11.1 |

Structure:
Cell: 6.6085 5.3581 7.6656 Å, 90.00 95.94 90.00°
Atoms (fractional coordinates):
1 Ce 0.1674 0.2500 0.1034
2 Ce 0.8326 0.7500 0.8966
3 Th 0.1114 0.7500 0.4547
4 Th 0.4492 0.2500 0.6912
5 Th 0.5508 0.7500 0.3088
6 Th 0.8886 0.2500 0.5453
7 Fe 0.3105 0.2500 0.3631
........
After that was over, I contacted Uber, and a fellow came and took me home. The GPS was wonky enough, that involved us texting each other so he could find me. {Smile}I ate dinner with Mom and read to her before that. She was awake when I came in. She looked at the pictures I showed her and responded sometimes. I began my reading with scripture and thoughts about first. Then I continued her niece's long family Christmas letter from 2019. Next, I read the next few pages from _The Picture Book of Babies_ . After that, I read "Goldilocks and the Three Bears," continuing _365 Animal Stories and Rhymes_. I finished with the 5th of June's story, "The Lost Ball," from _366 Stories for Bedtime_. {Smile}
I did my head exercises and my arm swinging exercises in Cardiology's main waiting room. They called me into a room as I was finishing up. then, after cleaning myself up after teaming and talking for the evening, I did my salsa dancing warmup. After a moderate sized break, I did one more salsa dancing piece, for almost 15 minutes of salsa dancing. I'm not back to around 20 minutes yet, and I was too tired afterwards to do another piece, but I'm sure I'll get there. {Smile}
In the morning, I played Cross Stitch World and read articles. Then I finished writing Tuesday's daily update before and into lunch. After that I read some comics before going to my cardiology appointment. When I got back,
• What comes next are records of crystals, not part of the article:
+++
ThCd3: theoretical powder diffraction line list (Cu Kα, 1.54184 Å), based on a DFT-relaxed cell (GGA-PBE, the Materials Project).
Peak positions follow from Bragg's law for the DFT cell and can differ from measured ones.

Peak list (10 most intense, 2θ from 15° to 90°, sorted by position)
two_theta, Rel. int., hkl
23.20, 13, 1 0 1
30.11, 25, 2 0 0
35.12, 100, 2 0 1
35.76, 22, 0 0 2
47.43, 14, 2 0 2
53.47, 19, 2 2 0
63.85, 17, 2 0 3
65.60, 15, 4 0 1
66.01, 20, 2 2 2
89.52, 14, 4 2 1

Atomic structure:
abc: 6.8544 6.8544 5.0212
angles: 90.00 90.00 120.00
Space group P6_3/mmc (No. 194)
Symmetry-distinct sites (fractional):
Th 0.3333 0.6667 0.2500 [2 per cell]
Cd 0.1570 0.3140 0.7500 [6 per cell]

=====

# 1
Starting from a structure optimized by DFT (PBE), the powder diffraction line list of Na3PdPb2 was simulated for Cu Kα, 1.54184 Å.
Neutral-atom scattering factors, no anomalous dispersion.

Principal peaks in the range 15 to 90 degrees two-theta, most intense first:
23.17 deg, 3.839 Å, I = 100
15.28 deg, 5.799 Å, I = 88
36.49 deg, 2.462 Å, I = 51
36.81 deg, 2.442 Å, I = 45
33.32 deg, 2.689 Å, I = 45
19.84 deg, 4.475 Å, I = 28
36.30 deg, 2.475 Å, I = 25
55.75 deg, 1.649 Å, I = 24
42.35 deg, 2.134 Å, I = 21
41.71 deg, 2.166 Å, I = 19

Crystal structure
```
12
Lattice="-3.065 8.951 2.949 3.065 -8.951 2.949 3.065 8.951 -2.949" Properties=species:S:1:pos:R:3 pbc="T T T"
Na 0.966 3.422 0.000
Na 0.000 0.000 1.474
Na 4.031 5.529 0.000
Na -0.966 3.422 2.949
Na 0.000 0.000 4.423
Na 2.099 5.529 2.949
Pd 3.065 0.000 1.474
Pd 0.000 8.951 1.474
Pb 3.978 2.221 0.000
Pb 0.913 6.729 0.000
Pb 2.152 2.221 2.949
Pb -0.913 6.729 2.949
```


# 2
Starting from a structure optimized by DFT (PBE), the powder diffraction line list of La2Pr2Sn was simulated for Cu Kα, 1.54184 Å.
Neutral-atom scattering factors, no anomalous dispersion.

Principal peaks in the range 15 to 90 degrees two-theta, most intense first:
31.77 deg, 2.816 Å, I = 100
32.24 deg, 2.777 Å, I = 99
56.90 deg, 1.618 Å, I = 39
45.90 deg, 1.977 Å, I = 37
64.33 deg, 1.448 Å, I = 24
56.61 deg, 1.626 Å, I = 19
22.48 deg, 3.954 Å, I = 19
75.74 deg, 1.256 Å, I = 17
18.19 deg, 4.878 Å, I = 16
82.33 deg, 1.171 Å, I = 12

Crystal structure
```
5
Lattice="5.632 0.000 0.000 -2.816 4.878 0.000 0.000 0.000 6.754" Properties=species:S:1:pos:R:3 pbc="T T T"
La 0.000 0.000 0.000
La 0.000 3.252 3.377
Pr 2.816 1.626 1.806
Pr 2.816 1.626 4.948
Sn 0.000 0.000 3.377
```


# 3
Starting from a structure optimized by DFT (PBE), the powder diffraction line list of LaSm5Ho5 was simulated for Cu Kα, 1.54184 Å.
Neutral-atom scattering factors, no anomalous dispersion.

Principal peaks in the range 15 to 90 degrees two-theta, most intense first:
28.33 deg, 3.150 Å, I = 100
29.17 deg, 3.062 Å, I = 84
37.24 deg, 2.415 Å, I = 52
51.20 deg, 1.784 Å, I = 39
34.68 deg, 2.586 Å, I = 39
34.92 deg, 2.569 Å, I = 36
60.48 deg, 1.531 Å, I = 28
30.17 deg, 2.963 Å, I = 28
32.99 deg, 2.715 Å, I = 27
46.12 deg, 1.968 Å, I = 21

Crystal structure
```
+++
I hopped into City of Heroes: Homecoming. I chatted with Pierogies. We tried to join the later short, large-group event, but only I got into the zone. The group was full, so I didn't get as much as I hoped out of it. Then I joined Pierogies in waiting for the later long, large-group event, which we ran together. I talked with Dennis, but he was busy. So were we; neither of us were doing things that could be joined in the middle. Afterwards, I watched a video with Pierogies, and talked about it afterwards before going to read to Mom. {Smile}
After dinner, I began writing this up, and made a few notes in it. Then I talked with Nox on the chat world a little. Next, I hopped into City of Heroes: Homecoming, where I chatted with Ulty while they got ready to leave for bed. Then I joined a task force, finding a character who needed it. I also chatted with Nox on the chat server. I cleaned myself up after Nox left. Then I rested, playing Cross Stitch World, then doing paperwork on City of Heroes: Homecoming. Then I did my salsa dancing, with videos and City of Heroes paperwork in between and afterwards Lastly, I wrote a little of this and made a lot of notes to write from the next day before bed. {Smile}